Contents =
-- begin --
No. 1
# CdCu5Au7
Simulated powder diffraction line list, Cu Kα, 1.54184 Å. Input: a GGA-PBE-relaxed structure.
Lines closer than 0.1° are merged.

Peak list (12 most intense, 10° ≤ 2θ ≤ 90°, by intensity)
d_spacing, two_theta, I (rel.), (hkl)
2.601, 34.48, 100, 2 0 0
2.020, 44.88, 88, 2 2 2
2.260, 39.89, 87, 1 3 2
1.314, 71.86, 39, 1 3 6
2.037, 44.48, 39, 1 1 4
2.270, 39.71, 38, 1 2 3
3.207, 27.82, 31, 0 2 2
1.300, 72.71, 28, 4 0 0
2.283, 39.47, 27, 0 0 4
2.253, 40.03, 27, 0 4 0
2.627, 34.13, 23, 1 0 3
1.365, 68.77, 23, 1 5 4

Crystal structure
```
data_CdCu5Au7
_chemical_formula_sum 'Cd2 Cu10 Au14'
_cell_length_a 5.201
_cell_length_b 9.012
_cell_length_c 9.133
_cell_angle_alpha 90.00
_cell_angle_beta 90.00
_cell_angle_gamma 90.00
_space_group_name_H-M_alt 'I m m 2'
_space_group_IT_number 44
_space_group_name_Hall 'I 2 -2'
loop_
_atom_site_label
_atom_site_type_symbol
_atom_site_fract_x
_atom_site_fract_y
_atom_site_fract_z
Cd1 Cd 0.000 0.000 0.000
Cu1 Cu 0.000 0.500 0.266
Cu2 Cu 0.248 0.255 0.253
Au1 Au 0.000 0.000 0.349
Au2 Au 0.000 0.000 0.673
Au3 Au 0.000 0.306 0.498
Au4 Au 0.000 0.335 0.008
Au5 Au 0.000 0.500 0.736
```

---

No. 2
# Ba3Tl4Ag4
Simulated powder diffraction line list, Cu Kα, 1.54184 Å. Input: a GGA-PBE-relaxed structure.
Lines closer than 0.1° are merged.

Peak list (12 most intense, 10° ≤ 2θ ≤ 90°, by intensity)
d_spacing, two_theta, I (rel.), (hkl)
3.073, 29.05, 100, 1 1 1
2.439, 36.86, 31, 0 1 5
2.511, 35.76, 31, 0 2 -1
3.143, 28.40, 31, 1 0 -4
2.254, 40.01, 24, 2 0 -1
2.264, 39.81, 21, 1 -1 5
1.655, 55.52, 19, -2 1 6
1.962, 46.26, 12, -1 2 3
4.459, 19.91, 12, 1 0 -1
1.535, 60.28, 11, 0 0 10
2.821, 31.72, 10, 0 1 -5
1.665, 55.16, 10, 1 -1 8

Crystal structure
```
data_Ba3Tl4Ag4
_chemical_formula_sum 'Ba3 Tl4 Ag4'
_cell_length_a 4.507
_cell_length_b 5.022
_cell_length_c 15.707
_cell_angle_alpha 99.13
_cell_angle_beta 98.22
_cell_angle_gamma 90.15
_space_group_name_H-M_alt 'P -1'
_space_group_IT_number 2
_space_group_name_Hall '-P 1'
loop_
_atom_site_label
_atom_site_type_symbol
_atom_site_fract_x
_atom_site_fract_y
_atom_site_fract_z
Ba1 Ba 0.000 0.000 0.000
Ba2 Ba 0.148 0.646 0.294
Tl1 Tl 0.253 0.254 0.506
Tl2 Tl 0.403 0.906 0.810
Ag1 Ag 0.310 0.811 0.621
Ag2 Ag 0.453 0.454 0.907
```

---

No. 3
# CaHoZnCu
Simulated powder diffraction line list, Cu Kα, 1.54184 Å. Input: a GGA-PBE-relaxed structure.
Lines closer than 0.1° are merged.

Peak list (12 most intense, 10° ≤ 2θ ≤ 90°, by intensity)
d_spacing, two_theta, I (rel.), (hkl)
2.520, 35.62, 100, 1 0 2
7.150, 12.38, 54, 0 0 1
2.513, 35.73, 52, 1 1 0
1.452, 64.13, 34, 2 1 2
1.777, 51.43, 18, 2 0 0
3.182, 28.04, 15, 1 0 1
2.371, 37.95, 15, 1 1 1
1.979, 45.84, 15, 1 0 3
1.124, 86.60, 15, 3 1 0
1.457, 63.91, 15, 1 1 4
1.260, 75.44, 9, 2 0 4
1.322, 71.33, 8, 2 1 3

Crystal structure
```
data_CaHoZnCu
_chemical_formula_sum 'Ca1 Ho1 Zn1 Cu1'
_cell_length_a 3.554
_cell_length_b 3.554
_cell_length_c 7.150
_cell_angle_alpha 90.00
_cell_angle_beta 90.00
_cell_angle_gamma 90.00
_space_group_name_H-M_alt 'P 4 m m'
_space_group_IT_number 99
_space_group_name_Hall 'P 4 -2'
loop_
_atom_site_label
_atom_site_type_symbol
_atom_site_fract_x
_atom_site_fract_y
_atom_site_fract_z
Ca1 Ca 0.000 0.000 0.000
Ho1 Ho 0.000 0.000 0.516
Zn1 Zn 0.500 0.500 0.277
Cu1 Cu 0.500 0.500 0.725
```

---

No. 4
# Nd3Ag2Au6
Simulated powder diffraction line list, Cu Kα, 1.54184 Å. Input: a GGA-PBE-relaxed structure.
Lines closer than 0.1° are merged.

Peak list (12 most intense, 10° ≤ 2θ ≤ 90°, by intensity)
d_spacing, two_theta, I (rel.), (hkl)
2.811, 31.84, 100, 1 1 4
2.270, 39.71, 86, 1 1 8
2.192, 41.18, 78, 2 0 0
2.543, 35.30, 50, 1 1 6
6.666, 13.28, 35, 0 0 4
1.280, 74.06, 28, 3 1 8
1.550, 59.65, 26, 2 2 0
1.693, 54.17, 23, 2 0 10
2.455, 36.61, 23, 1 0 9
1.357, 69.22, 22, 3 1 4
2.666, 33.61, 22, 0 0 10
1.323, 71.25, 13, 3 1 6

Crystal structure
```
data_Nd3Ag2Au6
_chemical_formula_sum 'Nd6 Ag4 Au12'
_cell_length_a 4.384
_cell_length_b 4.384
_cell_length_c 26.664
_cell_angle_alpha 90.00
-- stop --
To do =
Next, search the entries further above for the word "Tl4" and print each line that has it.
Outcome =
_chemical_formula_sum 'Ba3 Tl4 Ag4'